+++
Molecular formula: C21H24F8GdO4S2
Method: DFT, wB97M-V/def2-TZVPD

Geometry (Å):
C1 -2.889 -2.355 2.900
C2 -2.086 -1.130 2.864
C3 -1.554 -0.650 4.106
C4 -0.833 0.521 4.112
C5 -0.630 1.210 2.920
C6 -1.150 0.752 1.664
C7 -0.907 1.627 0.451
C8 -0.122 1.036 -0.749
S1 -1.121 1.423 -2.266
O1 -1.533 2.776 -2.119
O2 -0.334 1.197 -3.452
C9 -2.713 0.437 -2.365
F1 -3.516 1.176 -3.108
F2 -3.258 0.362 -1.140
C10 -2.645 -1.016 -2.968
F3 -2.931 -1.883 -1.991
F4 -1.394 -1.361 -3.427
C11 -3.664 -1.293 -4.119
F5 -3.432 -0.523 -5.157
F6 -4.877 -1.160 -3.628
F7 -3.479 -2.563 -4.475
C12 0.352 -0.420 -0.730
C13 1.239 -0.910 0.415
C14 0.831 -2.345 0.870
C15 2.015 -3.334 0.869
S2 2.348 -3.883 2.571
O3 1.243 -0.382 -1.930
C16 2.092 0.846 -1.879
O4 3.115 0.933 -2.380
C17 1.232 1.805 -1.091
C18 2.102 2.247 0.107
C19 3.079 3.383 -0.313
C20 4.549 3.006 -0.177
F8 2.838 3.740 -1.630
C21 -1.869 -0.418 1.663
H1 -3.822 -2.088 3.418
H2 -2.415 -3.128 3.501
H3 -3.168 -2.689 1.908
H4 -1.733 -1.181 5.028
H5 -0.452 0.898 5.048
H6 -0.090 2.144 2.950
H7 -1.880 2.004 0.148
H8 -0.367 2.504 0.783
H9 -0.413 -1.139 -1.027
H10 1.170 -0.258 1.277
H11 2.286 -0.966 0.138
H12 0.066 -2.773 0.225
H13 0.494 -2.289 1.900
H14 2.923 -2.912 0.441
H15 1.783 -4.219 0.282
H16 3.679 -4.043 2.579
H17 0.915 2.670 -1.670
H18 2.723 1.417 0.428
H19 1.533 2.592 0.963
H20 2.908 4.266 0.294
H21 4.678 2.366 0.691
H22 4.916 2.550 -1.090
H23 5.112 3.920 -0.033
H24 -2.292 -0.806 0.748
Gd1 1.350 -1.692 -3.347

Values from the calculation:
Kohn-Sham gap (alpha / beta) = 3.671 / 5.800 eV
net charge = +3
E_HOMO (alpha / beta) = -16.522 / -16.523 eV
M = 713.79 g mol⁻¹
2S+1 = 8

Molecular formula: C21H24I2NOPdSb2
Method: DFT, wB97M-V/def2-TZVPD

Geometry (Å):
Pd1 0.792 -0.144 -0.394
C1 -0.615 -2.039 3.473
Sb1 -0.636 -1.195 1.520
C2 -0.074 -3.065 0.635
C3 -2.695 -1.341 0.978
C4 -3.447 -0.051 1.129
C5 -3.853 0.358 2.397
C6 -4.533 1.547 2.591
C7 -4.820 2.353 1.500
C8 -4.424 1.957 0.234
C9 -3.735 0.762 0.026
C10 -3.304 0.409 -1.365
Sb2 -1.229 0.877 -1.650
C11 -1.339 2.943 -1.219
C12 -0.944 0.807 -3.739
H1 -1.061 -1.396 4.227
H2 0.409 -2.276 3.750
H3 -1.193 -2.954 3.363
H4 -0.788 -3.831 0.939
H5 0.919 -3.345 0.986
H6 -0.055 -3.000 -0.453
H7 -3.137 -2.147 1.564
H8 -2.654 -1.679 -0.057
H9 -3.647 -0.284 3.248
H10 -4.847 1.838 3.584
H11 -5.359 3.282 1.632
H12 -4.663 2.583 -0.617
H13 -3.820 1.044 -2.086
H14 -3.497 -0.626 -1.640
H15 -2.143 3.375 -1.813
H16 -0.398 3.428 -1.470
H17 -1.551 3.081 -0.161
H18 -1.754 1.334 -4.238
H19 -0.913 -0.231 -4.064
H20 0.013 1.271 -3.970
I1 3.339 -0.049 -4.860
C13 4.015 -0.165 -2.906
C14 5.398 -0.223 -2.643
C15 5.883 -0.276 -1.366
I2 7.944 -0.330 -1.073
C16 4.983 -0.274 -0.267
C17 5.361 -0.258 1.093
C18 4.411 -0.206 2.075
C19 3.057 -0.198 1.718
N1 2.665 -0.231 0.463
C20 3.601 -0.250 -0.545
C21 3.094 -0.187 -1.882
O1 1.787 -0.174 -2.104
H21 6.082 -0.215 -3.480
H22 6.412 -0.272 1.348
H23 4.684 -0.175 3.119
H24 2.282 -0.165 2.472

Values from the calculation:
Kohn-Sham gap = 6.302 eV
net charge = +1
E_HOMO = -10.348 eV
energy relative to the best compared isomer or geometry (same formula, charge and spin) = 66.2 kJ/mol
M = 910.18 g mol⁻¹

Molecular formula: C21H24MoN3O5
Method: DFT, wB97M-V/def2-TZVPD

Geometry (Å):
Mo1 -0.156 -0.404 -0.621
C1 -2.533 0.143 -4.035
O1 -3.504 1.033 -3.497
C2 -3.268 1.793 -2.408
C3 -4.128 2.886 -2.259
C4 -4.035 3.737 -1.181
C5 -3.073 3.520 -0.206
C6 -2.198 2.446 -0.318
C7 -1.247 2.234 0.761
N1 -0.363 1.310 0.773
N2 0.420 1.234 1.919
C8 1.081 0.128 1.923
O2 0.990 -0.745 0.928
C9 1.983 -0.235 3.029
C10 2.785 -1.368 2.928
C11 3.639 -1.704 3.966
C12 3.693 -0.913 5.104
C13 2.894 0.218 5.207
C14 2.040 0.560 4.174
C15 -2.301 1.583 -1.423
O3 -1.454 0.515 -1.520
H1 -2.916 -0.137 -5.012
H2 -2.420 -0.749 -3.420
H3 -1.568 0.639 -4.156
H4 -4.874 3.032 -3.029
H5 -4.714 4.574 -1.098
H6 -2.998 4.178 0.649
H7 -1.306 2.895 1.621
H8 2.743 -1.975 2.033
H9 4.265 -2.583 3.886
H10 4.361 -1.177 5.913
H11 2.938 0.833 6.096
H12 1.413 1.438 4.240
N3 -2.387 -3.200 1.695
+++

Your job: repeat all of the listing earlier on verbatim.

Molecular formula: C21H24F8GdO4S2
Method: DFT, wB97M-V/def2-TZVPD

Geometry (Å):
C1 -2.889 -2.355 2.900
C2 -2.086 -1.130 2.864
C3 -1.554 -0.650 4.106
C4 -0.833 0.521 4.112
C5 -0.630 1.210 2.920
C6 -1.150 0.752 1.664
C7 -0.907 1.627 0.451
C8 -0.122 1.036 -0.749
S1 -1.121 1.423 -2.266
O1 -1.533 2.776 -2.119
O2 -0.334 1.197 -3.452
C9 -2.713 0.437 -2.365
F1 -3.516 1.176 -3.108
F2 -3.258 0.362 -1.140
C10 -2.645 -1.016 -2.968
F3 -2.931 -1.883 -1.991
F4 -1.394 -1.361 -3.427
C11 -3.664 -1.293 -4.119
F5 -3.432 -0.523 -5.157
F6 -4.877 -1.160 -3.628
F7 -3.479 -2.563 -4.475
C12 0.352 -0.420 -0.730
C13 1.239 -0.910 0.415
C14 0.831 -2.345 0.870
C15 2.015 -3.334 0.869
S2 2.348 -3.883 2.571
O3 1.243 -0.382 -1.930
C16 2.092 0.846 -1.879
O4 3.115 0.933 -2.380
C17 1.232 1.805 -1.091
C18 2.102 2.247 0.107
C19 3.079 3.383 -0.313
C20 4.549 3.006 -0.177
F8 2.838 3.740 -1.630
C21 -1.869 -0.418 1.663
H1 -3.822 -2.088 3.418
H2 -2.415 -3.128 3.501
H3 -3.168 -2.689 1.908
H4 -1.733 -1.181 5.028
H5 -0.452 0.898 5.048
H6 -0.090 2.144 2.950
H7 -1.880 2.004 0.148
H8 -0.367 2.504 0.783
H9 -0.413 -1.139 -1.027
H10 1.170 -0.258 1.277
H11 2.286 -0.966 0.138
H12 0.066 -2.773 0.225
H13 0.494 -2.289 1.900
H14 2.923 -2.912 0.441
H15 1.783 -4.219 0.282
H16 3.679 -4.043 2.579
H17 0.915 2.670 -1.670
H18 2.723 1.417 0.428
H19 1.533 2.592 0.963
H20 2.908 4.266 0.294
H21 4.678 2.366 0.691
H22 4.916 2.550 -1.090
H23 5.112 3.920 -0.033
H24 -2.292 -0.806 0.748
Gd1 1.350 -1.692 -3.347

Values from the calculation:
Kohn-Sham gap (alpha / beta) = 3.671 / 5.800 eV
net charge = +3
E_HOMO (alpha / beta) = -16.522 / -16.523 eV
M = 713.79 g mol⁻¹
2S+1 = 8

Molecular formula: C21H24I2NOPdSb2
Method: DFT, wB97M-V/def2-TZVPD

Geometry (Å):
Pd1 0.792 -0.144 -0.394
C1 -0.615 -2.039 3.473
Sb1 -0.636 -1.195 1.520
C2 -0.074 -3.065 0.635
C3 -2.695 -1.341 0.978
C4 -3.447 -0.051 1.129
C5 -3.853 0.358 2.397
C6 -4.533 1.547 2.591
C7 -4.820 2.353 1.500
C8 -4.424 1.957 0.234
C9 -3.735 0.762 0.026
C10 -3.304 0.409 -1.365
Sb2 -1.229 0.877 -1.650
C11 -1.339 2.943 -1.219
C12 -0.944 0.807 -3.739
H1 -1.061 -1.396 4.227
H2 0.409 -2.276 3.750
H3 -1.193 -2.954 3.363
H4 -0.788 -3.831 0.939
H5 0.919 -3.345 0.986
H6 -0.055 -3.000 -0.453
H7 -3.137 -2.147 1.564
H8 -2.654 -1.679 -0.057
H9 -3.647 -0.284 3.248
H10 -4.847 1.838 3.584
H11 -5.359 3.282 1.632
H12 -4.663 2.583 -0.617
H13 -3.820 1.044 -2.086
H14 -3.497 -0.626 -1.640
H15 -2.143 3.375 -1.813
H16 -0.398 3.428 -1.470
H17 -1.551 3.081 -0.161
H18 -1.754 1.334 -4.238
H19 -0.913 -0.231 -4.064
H20 0.013 1.271 -3.970
I1 3.339 -0.049 -4.860
C13 4.015 -0.165 -2.906
C14 5.398 -0.223 -2.643
C15 5.883 -0.276 -1.366
I2 7.944 -0.330 -1.073
C16 4.983 -0.274 -0.267
C17 5.361 -0.258 1.093
C18 4.411 -0.206 2.075
C19 3.057 -0.198 1.718
N1 2.665 -0.231 0.463
C20 3.601 -0.250 -0.545
C21 3.094 -0.187 -1.882
O1 1.787 -0.174 -2.104
H21 6.082 -0.215 -3.480
H22 6.412 -0.272 1.348
H23 4.684 -0.175 3.119
H24 2.282 -0.165 2.472

Values from the calculation:
Kohn-Sham gap = 6.302 eV
net charge = +1
E_HOMO = -10.348 eV
energy relative to the best compared isomer or geometry (same formula, charge and spin) = 66.2 kJ/mol
M = 910.18 g mol⁻¹

Molecular formula: C21H24MoN3O5
Method: DFT, wB97M-V/def2-TZVPD

Geometry (Å):
Mo1 -0.156 -0.404 -0.621
C1 -2.533 0.143 -4.035
O1 -3.504 1.033 -3.497
C2 -3.268 1.793 -2.408
C3 -4.128 2.886 -2.259
C4 -4.035 3.737 -1.181
C5 -3.073 3.520 -0.206
C6 -2.198 2.446 -0.318
C7 -1.247 2.234 0.761
N1 -0.363 1.310 0.773
N2 0.420 1.234 1.919
C8 1.081 0.128 1.923
O2 0.990 -0.745 0.928
C9 1.983 -0.235 3.029
C10 2.785 -1.368 2.928
C11 3.639 -1.704 3.966
C12 3.693 -0.913 5.104
C13 2.894 0.218 5.207
C14 2.040 0.560 4.174
C15 -2.301 1.583 -1.423
O3 -1.454 0.515 -1.520
H1 -2.916 -0.137 -5.012
H2 -2.420 -0.749 -3.420
H3 -1.568 0.639 -4.156
H4 -4.874 3.032 -3.029
H5 -4.714 4.574 -1.098
H6 -2.998 4.178 0.649
H7 -1.306 2.895 1.621
H8 2.743 -1.975 2.033
H9 4.265 -2.583 3.886
H10 4.361 -1.177 5.913
H11 2.938 0.833 6.096
H12 1.413 1.438 4.240
N3 -2.387 -3.200 1.695